'''
Here is a structure of composition C39H24Br2F8N4O4SbScTe in a non-equilibrium geometry from the OMol25 dataset. Energies are from wB97M-V/def2-TZVPD.

Computed properties:
**LUMO**: -2.14 eV
**ΔE to the lowest compared entry with this formula, charge and spin**: 87.1 kcal/mol
**M**: 1218.75 g/mol
**HOMO-LUMO gap**: 6.04 eV

Positions of all 84 atoms, in Å:
Sc 1.275 -1.792 -0.128
O -2.030 -3.074 2.191
C -0.997 -2.599 1.777
N -0.199 -3.038 0.760
C -0.625 -4.105 0.007
O -1.680 -4.693 0.057
C 0.445 -4.541 -0.979
C 0.161 -5.555 -1.887
C 1.133 -5.936 -2.795
C 2.375 -5.324 -2.729
C 2.586 -4.349 -1.768
N 1.643 -3.938 -0.917
C -0.389 -1.393 2.478
C -0.978 -0.952 3.659
C -0.396 0.093 4.351
C 0.751 0.674 3.830
C 1.267 0.180 2.645
N 0.720 -0.836 1.967
H -0.817 -6.012 -1.860
H 0.928 -6.690 -3.537
H 3.163 -5.586 -3.420
H 3.558 -3.873 -1.681
H -1.868 -1.460 3.999
H -0.821 0.440 5.280
H 1.248 1.483 4.342
H 2.175 0.609 2.235
Br 2.059 3.563 -0.363
C 3.378 2.222 -0.301
C 4.724 2.596 -0.245
C 5.686 1.650 -0.014
Br 7.503 2.193 0.008
C 5.343 0.306 0.267
C 6.263 -0.682 0.658
C 5.808 -1.937 0.969
C 4.433 -2.196 0.916
N 3.536 -1.304 0.550
C 3.972 -0.068 0.184
C 2.985 0.894 -0.203
O 1.717 0.516 -0.344
H 4.987 3.631 -0.398
H 7.313 -0.439 0.729
H 6.491 -2.710 1.281
H 4.048 -3.167 1.204
F 1.204 -1.076 -3.841
Te 0.886 0.063 -2.309
F -0.635 0.372 -3.471
F 2.667 0.662 -2.887
F 2.387 -1.530 -1.743
F 0.770 2.027 -2.439
O -0.097 -1.128 -1.359
F -3.036 5.908 3.758
C -2.659 4.922 2.914
C -3.579 4.410 2.017
C -3.181 3.395 1.163
C -1.890 2.894 1.202
C -0.990 3.439 2.105
C -1.361 4.454 2.971
Sb -1.190 1.307 -0.146
C -2.121 2.289 -1.836
C -1.693 3.579 -2.125
C -2.060 4.186 -3.312
C -2.850 3.481 -4.201
F -3.169 4.046 -5.386
C -3.330 2.218 -3.911
C -2.961 1.624 -2.715
C -2.814 -0.062 0.307
C -3.043 -1.162 -0.513
C -4.116 -2.004 -0.279
C -4.952 -1.736 0.789
F -6.036 -2.511 0.993
C -4.721 -0.673 1.644
C -3.643 0.158 1.400
H -4.577 4.819 1.994
H -3.888 2.994 0.453
H 0.031 3.077 2.122
H -0.665 4.896 3.667
H -1.060 4.108 -1.424
H -1.728 5.181 -3.563
H -3.953 1.704 -4.626
H -3.303 0.622 -2.490
H -2.373 -1.376 -1.338
H -4.302 -2.863 -0.904
H -5.384 -0.509 2.482
H -3.452 0.994 2.058



Here is a structure of composition C29H39BF6GdN7O4S5 in a non-equilibrium geometry from the OMol25 dataset. Energies are from wB97M-V/def2-TZVPD.

Computed properties:
**LUMO (alpha / beta)**: -7.34 / -8.97 eV
**Expectation value of S²**: 16.054
**M**: 992.06 g/mol
**HOMO-LUMO gap (alpha / beta)**: 7.36 / 5.67 eV
**2S+1**: 8
**Charge**: +2

Positions of all 92 atoms, in Å:
Gd -2.541 -2.039 -0.430
C -3.598 3.247 0.193
C -2.309 2.709 0.743
C -1.592 3.286 1.751
C -0.393 2.649 2.314
N -0.001 1.468 1.878
N -0.677 0.982 0.813
B 0.112 -0.110 0.268
N 0.932 -1.053 1.118
N 2.219 -0.928 0.802
C 3.061 -1.663 1.451
C 2.605 -2.334 2.632
C 1.298 -2.600 2.943
C 0.894 -3.320 4.147
C 0.417 -1.877 2.079
S -1.313 -2.158 2.094
C 4.587 -1.647 1.080
C 4.954 -3.119 0.844
C 5.467 -1.137 2.244
C 4.874 -0.818 -0.201
N 0.427 -0.115 -1.211
N 0.572 1.161 -1.677
C 0.676 1.398 -2.927
C 0.815 0.290 -3.846
C 0.730 -0.997 -3.388
C 1.002 -2.188 -4.216
C 0.355 -1.184 -2.004
S -0.051 -2.738 -1.347
C 0.615 2.885 -3.318
C 2.090 3.405 -3.094
C -0.306 3.637 -2.355
C 0.231 2.958 -4.814
C -1.818 1.457 0.193
S -2.628 0.654 -1.087
C 0.345 3.344 3.412
C -0.636 3.608 4.576
C 0.919 4.679 2.906
C 1.476 2.446 3.879
H -3.958 3.944 0.869
H -4.365 2.458 0.116
H -3.357 3.700 -0.767
H -1.950 4.218 2.172
H 3.398 -2.830 3.205
H 1.581 -3.881 4.697
H 0.129 -4.033 3.799
H 0.337 -2.712 4.878
H 5.077 -3.632 1.832
H 5.865 -3.264 0.302
H 4.227 -3.777 0.356
H 5.310 -1.535 3.245
H 5.395 -0.047 2.311
H 6.515 -1.331 1.979
H 4.341 -1.284 -1.010
H 5.935 -0.944 -0.326
H 4.564 0.160 -0.072
H 1.004 0.468 -4.895
H 1.067 -1.939 -5.284
H 0.330 -3.036 -4.118
H 1.982 -2.611 -3.904
H 2.358 3.201 -2.046
H 2.063 4.507 -3.274
H 2.840 2.976 -3.724
H 0.072 3.640 -1.324
H -1.346 3.173 -2.395
H -0.373 4.615 -2.759
H 1.046 2.588 -5.450
H 0.150 4.035 -5.016
H -0.714 2.460 -4.904
'''
The reader should give back everything further above word for word.
Here is a structure of composition C39H24Br2F8N4O4SbScTe in a non-equilibrium geometry from the OMol25 dataset. Energies are from wB97M-V/def2-TZVPD.

Computed properties:
**LUMO**: -2.14 eV
**ΔE to the lowest compared entry with this formula, charge and spin**: 87.1 kcal/mol
**M**: 1218.75 g/mol
**HOMO-LUMO gap**: 6.04 eV

Positions of all 84 atoms, in Å:
Sc 1.275 -1.792 -0.128
O -2.030 -3.074 2.191
C -0.997 -2.599 1.777
N -0.199 -3.038 0.760
C -0.625 -4.105 0.007
O -1.680 -4.693 0.057
C 0.445 -4.541 -0.979
C 0.161 -5.555 -1.887
C 1.133 -5.936 -2.795
C 2.375 -5.324 -2.729
C 2.586 -4.349 -1.768
N 1.643 -3.938 -0.917
C -0.389 -1.393 2.478
C -0.978 -0.952 3.659
C -0.396 0.093 4.351
C 0.751 0.674 3.830
C 1.267 0.180 2.645
N 0.720 -0.836 1.967
H -0.817 -6.012 -1.860
H 0.928 -6.690 -3.537
H 3.163 -5.586 -3.420
H 3.558 -3.873 -1.681
H -1.868 -1.460 3.999
H -0.821 0.440 5.280
H 1.248 1.483 4.342
H 2.175 0.609 2.235
Br 2.059 3.563 -0.363
C 3.378 2.222 -0.301
C 4.724 2.596 -0.245
C 5.686 1.650 -0.014
Br 7.503 2.193 0.008
C 5.343 0.306 0.267
C 6.263 -0.682 0.658
C 5.808 -1.937 0.969
C 4.433 -2.196 0.916
N 3.536 -1.304 0.550
C 3.972 -0.068 0.184
C 2.985 0.894 -0.203
O 1.717 0.516 -0.344
H 4.987 3.631 -0.398
H 7.313 -0.439 0.729
H 6.491 -2.710 1.281
H 4.048 -3.167 1.204
F 1.204 -1.076 -3.841
Te 0.886 0.063 -2.309
F -0.635 0.372 -3.471
F 2.667 0.662 -2.887
F 2.387 -1.530 -1.743
F 0.770 2.027 -2.439
O -0.097 -1.128 -1.359
F -3.036 5.908 3.758
C -2.659 4.922 2.914
C -3.579 4.410 2.017
C -3.181 3.395 1.163
C -1.890 2.894 1.202
C -0.990 3.439 2.105
C -1.361 4.454 2.971
Sb -1.190 1.307 -0.146
C -2.121 2.289 -1.836
C -1.693 3.579 -2.125
C -2.060 4.186 -3.312
C -2.850 3.481 -4.201
F -3.169 4.046 -5.386
C -3.330 2.218 -3.911
C -2.961 1.624 -2.715
C -2.814 -0.062 0.307
C -3.043 -1.162 -0.513
C -4.116 -2.004 -0.279
C -4.952 -1.736 0.789
F -6.036 -2.511 0.993
C -4.721 -0.673 1.644
C -3.643 0.158 1.400
H -4.577 4.819 1.994
H -3.888 2.994 0.453
H 0.031 3.077 2.122
H -0.665 4.896 3.667
H -1.060 4.108 -1.424
H -1.728 5.181 -3.563
H -3.953 1.704 -4.626
H -3.303 0.622 -2.490
H -2.373 -1.376 -1.338
H -4.302 -2.863 -0.904
H -5.384 -0.509 2.482
H -3.452 0.994 2.058



Here is a structure of composition C29H39BF6GdN7O4S5 in a non-equilibrium geometry from the OMol25 dataset. Energies are from wB97M-V/def2-TZVPD.

Computed properties:
**LUMO (alpha / beta)**: -7.34 / -8.97 eV
**Expectation value of S²**: 16.054
**M**: 992.06 g/mol
**HOMO-LUMO gap (alpha / beta)**: 7.36 / 5.67 eV
**2S+1**: 8
**Charge**: +2

Positions of all 92 atoms, in Å:
Gd -2.541 -2.039 -0.430
C -3.598 3.247 0.193
C -2.309 2.709 0.743
C -1.592 3.286 1.751
C -0.393 2.649 2.314
N -0.001 1.468 1.878
N -0.677 0.982 0.813
B 0.112 -0.110 0.268
N 0.932 -1.053 1.118
N 2.219 -0.928 0.802
C 3.061 -1.663 1.451
C 2.605 -2.334 2.632
C 1.298 -2.600 2.943
C 0.894 -3.320 4.147
C 0.417 -1.877 2.079
S -1.313 -2.158 2.094
C 4.587 -1.647 1.080
C 4.954 -3.119 0.844
C 5.467 -1.137 2.244
C 4.874 -0.818 -0.201
N 0.427 -0.115 -1.211
N 0.572 1.161 -1.677
C 0.676 1.398 -2.927
C 0.815 0.290 -3.846
C 0.730 -0.997 -3.388
C 1.002 -2.188 -4.216
C 0.355 -1.184 -2.004
S -0.051 -2.738 -1.347
C 0.615 2.885 -3.318
C 2.090 3.405 -3.094
C -0.306 3.637 -2.355
C 0.231 2.958 -4.814
C -1.818 1.457 0.193
S -2.628 0.654 -1.087
C 0.345 3.344 3.412
C -0.636 3.608 4.576
C 0.919 4.679 2.906
C 1.476 2.446 3.879
H -3.958 3.944 0.869
H -4.365 2.458 0.116
H -3.357 3.700 -0.767
H -1.950 4.218 2.172
H 3.398 -2.830 3.205
H 1.581 -3.881 4.697
H 0.129 -4.033 3.799
H 0.337 -2.712 4.878
H 5.077 -3.632 1.832
H 5.865 -3.264 0.302
H 4.227 -3.777 0.356
H 5.310 -1.535 3.245
H 5.395 -0.047 2.311
H 6.515 -1.331 1.979
H 4.341 -1.284 -1.010
H 5.935 -0.944 -0.326
H 4.564 0.160 -0.072
H 1.004 0.468 -4.895
H 1.067 -1.939 -5.284
H 0.330 -3.036 -4.118
H 1.982 -2.611 -3.904
H 2.358 3.201 -2.046
H 2.063 4.507 -3.274
H 2.840 2.976 -3.724
H 0.072 3.640 -1.324
H -1.346 3.173 -2.395
H -0.373 4.615 -2.759
H 1.046 2.588 -5.450
H 0.150 4.035 -5.016
H -0.714 2.460 -4.904